Here's the working concept. Any final thoughts before I start coding it???
Video Poker Hypothesis Tester and Confidence Quantifier
Basic Concept: The Utility will include three basic tests, each of which will be independent and optional. The user will be able to use some or all of them, if they so choose. In addition to the three basic tests there will be some optional tests and a place for advanced user-defined tests. The utility will include printable sheets for casino record keeping and tallying. Optionally, video of your play can be used to input at home, but the paper version will be included. The utility will be written in MS Excel and will be completely free, if the code translates then an OpenOffice version will also be made available for free for those that do not own MS Excel.
The Three Main Tests
1.A Test for Random Deal and Random Draw. All five dealt cards will be recorded, as will the cards drawn. The dealt and drawn cards will be analyzed for frequency of occurrence both separately and together. Since we are testing for the frequency of occurrence of single cards, each hand gives us 5 or more trials and minimizes the need for an impossibly large sample. This test is designed only for occasional or one time use. It's not something you are going to be doing for the rest of your VP career.
2.The Made Hand Test: This test will be ongoing and of indefinite duration. You may decide to track all your straights and higher for the rest of your life. It will allow you to track as much or as little as you want. If you only wanted to track Royals Flushes you could. Naturally the more things you track and the less rare they are the higher the confidence level will be. The problem with this test is it is based on your total number of hands and your strategy. It is therefore subject to error and is dependent on what your strategy is and how accurately you play. It might be amusing as a fun thing to do, but it is far too error prone to be good science.
3.Strategy Independent Frequency Test: This is similar to the made hand test in the sense that you are recording hands like Flushes, Full Houses, 4K, SF, RF. Where it differs is that rather than comparing your total hands to the number of paying hands, we are instead looking only at the frequency of the times you draw. The test will also include a dealt pat hand test as compared to total hands played, but again that is not subject to strategy difference. You'll be able to check for as little or as much as you like from the 3K on up to RF and it's designed for lifetime use or short term use. Obviously, as the sample size increases over time the confidence level will rise.
The utility will be designed non-partisan & side-neutral. That is to say, you can use it to test a hypothesis that machines are fair and your results are completely normal. Or, you could use it to test a hypothesis that machines are unfair and your results are abnormal. Most importantly, it will tell you your confidence level based on your sample size. ~FK
== Calculated crystals from another source follow ==
********
Simulated XRD peak list of CrFe2Se4 for λ = 1.5418 Å (Cu Kα), from a structure optimized by DFT (GGA-PBE).
Lines closer than 0.1° are merged.

Most intense lines, 10 to 90 degrees two-theta, by intensity:
(4 0 -2), 2θ = 33.05°, I = 100
(3 1 -3), 2θ = 50.76°, I = 39
(5 1 -1), 2θ = 43.90°, I = 32
(3 1 -1), 2θ = 33.29°, I = 28
(3 1 1), 2θ = 43.57°, I = 27
(0 2 0), 2θ = 51.58°, I = 20
(0 0 2), 2θ = 32.58°, I = 17
(2 0 2), 2θ = 43.10°, I = 14
(11 1 -3), 2θ = 89.37°, I = 14
(7 1 -1), 2θ = 58.06°, I = 13

Cell and atoms:
a b c (Å): 12.7240 3.5439 6.2634
angles (deg): 90.00 118.65 90.00
Space group Cm (No. 8)
Unique sites:
Cr 0.0000 0.0000 0.0000
Fe 0.2401 0.5000 0.7158
Fe 0.4848 0.0000 0.4215
Se 0.1081 0.0000 0.7384
Se 0.1301 0.5000 0.2682
Se 0.3558 0.5000 0.1593
Se 0.3748 0.0000 0.6799

---

Simulated XRD peak list of CrFe2Se4 for λ = 1.5418 Å (Cu Kα), from a structure optimized by DFT (GGA-PBE).
Lines closer than 0.1° are merged.

Most intense lines, 10 to 90 degrees two-theta, by intensity:
(2 0 -1), 2θ = 39.07°, I = 100
(0 2 -1), 2θ = 30.16°, I = 96
(1 1 -2), 2θ = 30.27°, I = 82
(1 -1 1), 2θ = 29.91°, I = 81
(0 0 2), 2θ = 33.53°, I = 69
(2 0 -3), 2θ = 52.64°, I = 66
(-1 1 1), 2θ = 29.30°, I = 59
(0 1 0), 2θ = 16.77°, I = 51
(1 0 2), 2θ = 46.66°, I = 47
(0 2 1), 2θ = 44.61°, I = 46

Cell and atoms:
a b c (Å): 4.6119 5.9329 6.4009
angles (deg): 114.99 110.44 90.44
Space group P1 (No. 1)
Unique sites:
Cr 0.0000 0.0000 0.0000
Fe 0.5405 0.5351 0.7696
Fe 0.7609 0.4707 0.2010
Se 0.3088 0.4204 0.3141
Se 0.5260 0.1456 0.7881
Se 0.7000 0.8599 0.1884
Se 0.9831 0.5854 0.6681

---

Simulated XRD peak list of CrFe2Se4 for λ = 1.5418 Å (Cu Kα), from a structure optimized by DFT (GGA-PBE).
Lines closer than 0.1° are merged.

Most intense lines, 10 to 90 degrees two-theta, by intensity:
(1 1 1), 2θ = 32.94°, I = 100
(4 0 -2), 2θ = 33.40°, I = 93
(3 1 -3), 2θ = 51.30°, I = 52
(3 1 1), 2θ = 42.95°, I = 52
(5 1 -1), 2θ = 43.70°, I = 47
(0 0 2), 2θ = 32.44°, I = 34
(0 2 0), 2θ = 51.85°, I = 32
(6 0 -2), 2θ = 43.87°, I = 18
(7 1 -1), 2θ = 57.43°, I = 18
(4 2 -2), 2θ = 63.08°, I = 16

Cell and atoms:
a b c (Å): 12.8093 3.5269 6.1938
angles (deg): 90.00 116.97 90.00
Space group C2/m (No. 12)
Unique sites:
Cr 0.0000 0.0000 0.0000
Fe 0.2440 0.5000 0.6929
Se 0.1127 0.0000 0.4567
Se 0.1399 0.5000 0.9808

---

Simulated XRD peak list of Zn3Cr8FeSe16 for λ = 1.5418 Å (Cu Kα), from a structure optimized by DFT (GGA-PBE).
Lines closer than 0.1° are merged.

Most intense lines, 10 to 90 degrees two-theta, by intensity:
(2 2 0), 2θ = 48.70°, I = 100
(2 0 8), 2θ = 33.90°, I = 78
(0 2 4), 2θ = 29.25°, I = 52
(2 0 2), 2θ = 27.98°, I = 37
(3 0 6), 2θ = 44.51°, I = 34
(4 0 4), 2θ = 57.83°, I = 19
(4 2 8), 2θ = 81.38°, I = 18
(1 1 0), 2θ = 23.80°, I = 17
(0 4 8), 2θ = 60.66°, I = 16
(4 0 16), 2θ = 71.34°, I = 14

Cell and atoms:
a b c (Å): 7.4782 7.4782 36.6433
angles (deg): 90.00 90.00 120.00
Space group R3m (No. 160, hexagonal axes)
Unique sites:
Zn 0.0000 0.0000 0.0000
********
== Here the article continues ==
[vpFREE] Re: What Would It Take???